Country nurses and midwives make up more than 50 per cent of finalists

Half of the 38 finalists announced in the WA Nursing and Midwifery Excellence Awards are WA Country Health Service nurses and midwives from regional and remote Western Australia
The WA Nursing and Midwifery Excellence Awards brings together nurses and midwives from all over the state with different levels of experience and from a range of work environments. Acting WA Country Health Service Executive Director of Nursing and Midwifery Jeffery Williams said the result was a testament to country nurses and midwives.
“I’m pleased to see 19 very worthy finalists - across a number of categories - are from remote and regional WA,” Mr Williams said.
“The WA Country Health Service employs over 4,000 nurses and midwives making up 42 per cent of our workforce.
== Quantum chemistry results that have nothing to do with the entry ==
********
1.
Below is a molecular structure, C54H49GeN5O5PS3Ti in a non-equilibrium geometry, with properties calculated with ωB97M-V with the def2-TZVPD basis set.

orbital gap (spin up / spin down)	7.04 / 6.47	eV
molar mass	1095.67	g mol⁻¹
total charge	0
expectation value of S²	0.777
total energy	-195910.597	eV
spin multiplicity	2
ΔE to the lowest compared entry with this formula, charge and spin	1.6631	eV
LUMO level (spin up / spin down)	-0.5 / -1.2	eV

Last column: Löwdin spin population.
Cartesian coordinates (Å):
Ge -4.41 -0.04 -2.19  0.00
Ti -0.18 -0.88 0.85  0.55
S 0.13 1.95 -1.10  0.28
S -0.26 -1.33 5.56  0.00
S 4.00 -0.27 -0.60  0.00
P 2.48 1.33 1.87  0.01
O 2.63 -3.60 0.11  0.00
O -1.62 -0.95 -0.55  0.01
O -1.19 0.09 2.05  0.02
O -1.64 -2.34 1.12  0.00
O 1.07 -1.97 0.00  -0.01
N 1.01 -1.62 2.53  0.01
N 5.34 -2.48 -0.09  0.00
N -2.03 -2.27 3.85  0.00
N 5.99 -1.44 -2.01  0.00
N -2.22 -3.13 6.01  0.00
C -0.65 3.75 4.32  0.00
C -1.57 -2.29 5.15  0.00
C -6.75 -1.75 -1.88  0.00
C 3.53 -0.46 5.44  0.00
C 4.17 4.19 -0.48  0.00
C -3.13 -3.94 5.55  0.00
C -3.52 -4.02 4.19  0.00
C 3.62 2.65 1.30  0.00
C -5.58 -1.56 -2.62  0.00
C 7.43 -0.18 -5.13  0.00
C 5.40 -0.66 3.96  0.00
C 5.91 1.48 -4.33  0.00
C 3.38 3.17 0.03  0.01
C 0.71 3.91 4.60  0.00
C 7.13 -0.97 -4.04  0.00
C -6.84 2.78 -4.14  0.00
C -6.92 3.83 -3.24  0.00
C 2.83 0.24 4.46  0.00
C -0.07 2.17 2.59  0.01
C -2.30 -1.61 0.29  0.01
C 4.71 0.02 2.97  0.00
C 5.59 0.69 -3.23  0.00
C -6.09 1.65 -3.83  0.00
C -0.63 -0.19 -5.02  0.00
C 4.69 3.15 2.04  0.00
C 6.21 -0.54 -3.08  0.00
C -0.57 1.22 1.57  0.04
C -4.27 -0.11 -0.23  0.00
C -1.04 2.87 3.32  0.00
C -2.94 -3.13 3.36  0.00
C -1.40 0.96 -4.92  0.00
C -2.50 0.99 -4.07  0.00
C -6.15 -3.52 -3.92  0.00
C -2.85 -0.13 -3.32  0.00
C -5.30 -2.46 -3.65  0.00
C 5.14 -1.42 -0.95  0.00
C 5.23 4.69 0.26  0.00
C -0.97 -1.32 -4.28  0.00
C 6.82 1.06 -5.29  0.00
C 4.83 -0.89 5.20  0.00
C 3.42 0.51 3.22  0.00
C -7.30 -3.70 -3.17  0.00
C -6.25 3.76 -2.03  0.00
C 5.49 4.17 1.52  0.00
C -2.07 -1.28 -3.44  0.00
C 1.27 2.32 2.86  0.00
C -0.19 1.20 0.26  0.04
C 1.65 3.20 3.88  0.00
C -7.60 -2.81 -2.15  0.00
C -3.78 -1.42 0.39  0.00
C -5.50 2.63 -1.72  0.00
C 1.80 -2.90 0.62  0.00
C 1.46 -2.97 2.11  0.00
C -5.41 1.56 -2.61  0.00
H 2.56 2.77 -0.56  0.01
H 1.02 4.59 5.38  0.00
H -2.32 -2.17 -2.87  0.00
H 6.41 -1.01 3.75  0.00
H 6.31 4.55 2.11  0.00
H 4.57 -2.65 0.53  0.00
H 4.88 1.04 -2.50  0.00
H 6.59 -2.25 -2.06  0.00
H -1.13 1.84 -5.50  0.00
H 1.82 0.57 4.67  0.00
H -4.97 2.59 -0.77  0.00
H -6.04 0.83 -4.54  0.00
H 2.70 3.31 4.12  0.00
H -7.37 2.83 -5.09  0.00
H 5.79 -3.31 -0.44  0.00
H 0.64 -3.68 2.22  0.00
H -4.24 -4.74 3.84  0.00
H 0.23 -0.21 -5.68  0.00
H 5.85 5.48 -0.13  0.00
H -8.51 -2.93 -1.56  0.00
H 5.16 0.19 2.00  0.00
H -4.25 -2.28 -0.10  0.00
H -3.15 -3.04 2.30  0.00
H -5.92 -4.21 -4.73  0.00
H 7.61 -1.94 -3.93  0.00
H -4.02 -1.47 1.45  0.00
H 4.92 2.75 3.02  0.00
H 0.61 -1.60 3.47  0.00
H -7.01 -1.05 -1.08  0.00
H -1.62 -1.58 3.22  0.00
H 7.05 1.68 -6.14  0.00
********
“They are at the forefront of our regional healthcare services and their contribution is vital to the health and wellbeing of the communities in which we operate,” he added.
Mr Williams said the WA Country Health Service provides nursing and midwifery services at regional resource centres, integrated district hospitals, small hospitals, in the community and at remote nursing posts.
“Although challenging at times, nurses and midwives living and working in our regional communities find the experience immensely rewarding and having such a significant county representation in finalists is evidence of the exciting opportunities that exist in WA Country Health,” Mr Williams said.
Winners of the 2019 WA Nursing and Midwifery Excellence Awards will be announced at a Gala Ball on Saturday 11th May 2019.
WACHS Finalists:
- Andrew Barrie, WA Country Health Service – Midwest - Excellence in Education
- Jane Darlington, Kununurra District Hospital - Excellence in Education
- Gabrielle Cameron, Dalwallinu Hospital - Excellence in Enrolled Nursing
- Patricia Tolland, Exmouth Hospital - Excellence in Enrolled Nursing
- Kathryn Brown, Kalgoorlie Health Campus - Excellence in Midwifery
- Natasha Colbourne, Murchison Multi-Purpose Service - Consumer Aboriginal Health
- Andrea Rieusset, Broome Hospital - Consumer Aboriginal Health
- Julia Galliers,Kimberley Public Health Unit, Derby Community Health - Excellence in Primary, Public, Community and Residential Care
- Rebecca Caporn, WA Country Health Service - Goldfields Public Health Excellence in Primary, Public, Community and Residential Care
- Di Smith, Northampton Hospital - Excellence in Primary, Public, Community and Residential Care
- Natalie Pass, WACHS Midwest - Excellence in Leadership
- Anita Brewer, Quairading Health Service - Excellence in Rural and Remote Health
Misplaced records of molecules:
-- begin --
C3H6ClNO3S | ωB97M-V/def2-TZVPD

Structure (XYZ):
```
15
Properties=species:S:1:pos:R:3:nbo_charge:R:1
C 0.978 -0.398 1.529 -0.619
C 0.658 0.871 0.658 -0.205
N -0.156 0.331 -0.510 -0.703
C 0.281 0.244 -1.791 0.531
O -0.179 -0.339 -2.733 -0.559
S -1.599 -0.585 -0.280 2.256
O -1.537 -1.880 -0.852 -0.851
O -1.950 -0.289 1.023 -0.919
Cl -2.793 0.480 -1.383 -0.159
H 1.750 -1.055 0.888 0.206
H 1.643 -0.026 2.353 0.224
H 0.220 -1.030 1.802 0.233
H -0.069 1.477 1.241 0.225
H 1.413 1.455 0.056 0.235
H 1.340 0.743 -1.999 0.104
```

Properties
net charge	0
multiplicity	1
gap between HOMO and LUMO	11.056	eV
ΔE to the lowest compared entry with this formula, charge and spin	37.11	kcal/mol
molecular weight	171.61	g/mol
F_max	7.1	eV/Å
SMILES	CCN(C=O)S(=O)(=O)Cl
-- stop --
- Carron Lodder, Morawa Perenjori Health Service - Excellence in Rural and Remote Health
- Gloria Masekane, Mount Magnet Nursing Post - Excellence in Rural and Remote Health
- Rebeca Berry, Bunbury Hospital - Graduate of the Year
- Elizabeth Churchill, WACHS Great Southern - Graduate of the Year
- Jeremy Everett WACHS Great Southern - Graduate of the Year
- Bunbury Midwifery Group Practice (Kieran Kenny, Jo Melai, Fiona Flett, Christina Mawby, Lindsey Stirling, Megan Van Ballegooyen, Renae Sharpe, Catherine Hemsley), Bunbury Hospital. - Excellence in Person Centred Care – Team Award
- Patricia Jansse, Ravensthorpe Hospital - Consumer Appreciation Award